Catherine Booth and many of the people who first joined The Salvation Army called the movement of the Holy Spirit in their work “Primitive Christianity.” They compared the power of God working through them with how the Holy Spirit worked through the early church.
Catherine said this in one of her messages entitled Aggressive Christianity: “If we could blot out from our minds the knowledge of the history of Christianity…” (From this point until the next quotation, my paraphrase) what took place since the days recorded in the Acts of the Apostles... Sit down and calculate what was likely to happen in this world. What different results might have happened? What a different world would have been the outcome if our humanity, politics and tendency to organize had not gotten in the way of the Holy Spirit!
/*
No. 1
117
Properties=species:S:1:pos:R:3:mulliken_charge:R:1 method="wB97M-V/def2-TZVPD" charge=0 homo_lumo_gap_ev=7.861 homo_energy_ev=-7.89 lumo_ev=-0.03
C 4.026 4.833 2.679 -0.829
C 3.181 5.967 2.159 0.413
O 3.202 6.253 1.009 -0.531
N 2.351 6.713 3.076 -0.034
C 3.259 7.398 4.018 -0.995
C 1.415 5.820 3.783 -0.901
C 0.655 4.902 2.843 0.424
C -0.575 4.255 3.500 -1.088
C -0.346 3.666 4.909 -0.815
C -0.845 2.253 5.113 0.441
C -1.746 1.944 6.143 0.200
P -2.451 3.163 7.279 0.152
S -1.520 3.374 8.970 -0.424
C -2.188 0.638 6.367 -0.816
C -1.735 -0.378 5.550 -1.186
C -0.853 -0.081 4.515 1.505
C -0.389 1.208 4.280 -0.904
N 0.497 1.541 3.237 0.608
C 1.337 0.533 2.683 -0.616
C 2.480 0.962 2.015 -0.891
C 3.348 0.077 1.395 -0.966
C 3.101 -1.293 1.424 0.764
C 4.036 -2.232 0.698 -1.833
C 3.375 -2.913 -0.509 -0.937
C 2.471 -2.008 -1.337 0.103
S 3.450 -0.639 -2.035 -0.264
C 2.281 0.603 -2.356 0.008
S 2.669 1.856 -3.313 -0.194
N 1.024 0.447 -1.702 0.386
C -0.065 0.136 -2.640 -0.903
C -1.319 -0.138 -1.818 -0.378
O -1.683 0.949 -0.985 -0.460
C -0.581 1.229 -0.130 -0.412
C 0.585 1.669 -0.999 -1.214
C 1.965 -1.751 2.112 0.391
B 1.654 -3.300 2.199 1.045
O 0.451 -3.845 1.830 -0.580
O 2.623 -4.161 2.673 -0.654
C 1.085 -0.833 2.715 0.596
S -0.375 -1.459 3.501 -0.491
H 3.420 4.019 3.067 0.098
H 4.643 4.433 1.884 0.375
H 4.676 5.137 3.495 0.387
H 3.045 8.462 4.058 0.302
H 3.151 7.021 5.037 0.339
H 4.303 7.278 3.743 0.387
H 0.739 6.422 4.387 0.383
H 1.995 5.216 4.495 0.576
H 0.303 5.504 2.005 0.436
H 1.283 4.123 2.417 -0.422
H -0.994 3.522 2.820 0.191
H -1.319 5.047 3.572 0.561
H -0.814 4.336 5.614 0.621
H 0.708 3.671 5.193 0.222
H -2.617 4.353 6.555 0.115
H -3.773 2.715 7.445 0.091
H -2.891 0.432 7.161 0.354
H -2.063 -1.395 5.691 0.455
H 1.102 2.295 3.529 0.087
H 2.698 2.021 1.966 0.274
H 4.204 0.462 0.864 0.388
H 4.863 -1.633 0.323 0.540
H 4.426 -2.980 1.376 0.377
H 4.136 -3.358 -1.148 0.571
H 2.755 -3.748 -0.174 0.374
H 2.080 -2.573 -2.179 0.563
H 1.654 -1.590 -0.762 -0.163
H -0.264 0.976 -3.311 0.432
H 0.162 -0.755 -3.223 0.409
H -1.170 -1.011 -1.173 0.196
H -2.144 -0.363 -2.489 0.358
H -0.837 1.961 0.628 0.079
H -0.310 0.288 0.359 0.486
H 0.168 2.370 -1.723 0.414
H 1.389 2.135 -0.441 0.713
H 0.148 -4.432 2.532 0.301
H 3.142 -3.738 3.364 0.358
C -5.390 2.696 -2.076 -1.281
C -5.308 1.176 -2.176 -0.202
C -4.943 0.679 -3.574 -0.460
C -5.945 1.027 -4.675 -0.884
C -7.368 0.526 -4.432 -0.397
C -7.470 -0.995 -4.347 -1.180
H -6.172 3.102 -2.720 0.337
H -5.617 3.002 -1.054 0.389
H -4.441 3.154 -2.360 0.283
H -6.254 0.733 -1.853 0.306
H -4.548 0.821 -1.475 0.195
H -4.807 -0.407 -3.537 0.332
H -3.967 1.093 -3.850 0.302
H -5.580 0.614 -5.620 0.383
H -5.972 2.111 -4.814 0.341
H -8.001 0.876 -5.251 0.379
H -7.775 0.971 -3.520 0.243
H -7.101 -1.460 -5.263 0.291
H -8.507 -1.304 -4.210 0.380
H -6.896 -1.392 -3.509 0.273
C -0.027 -7.837 -4.958 -1.200
C 1.117 -7.180 -5.727 -0.320
C 2.494 -7.472 -5.134 -0.794
C 2.704 -6.958 -3.709 -0.903
C 2.494 -5.455 -3.530 0.339
*/
“We Christians profess to possess in the Gospel of Christ, a mighty lever, rightly and universally applied, would lift the entire burden of sin and misery from the shoulders, (the souls), of our fellowmen…” It is a cure for “all of the moral and spiritual woes of humanity. In curing their spiritual plagues we should go far to cure their physical plagues as well. We profess to believe this…Yet look at the world…” Even look at the so called “Christian” world.
She goes on to say, “Now, I ask, how is this? I do not for a moment believe that this is in accordance with the purpose of God.” “I believe that the old arch-enemy has done in this dispensation what he did in former ones – so far circumvented the purposes of God that he has succeeded in brining about this state of things – in retarding the accomplishment of God’s purposes and keeping the world under his own power and influence. I believe he has succeeded in doing this, as he has succeeded before, by deceiving God’s own people.” “He has always got up a caricature of God’s real thing, and the nearer he can get it to be like the original the more successful he is, he has succeeded in deceiving God’s people.”
____________
{"formula": "C15H27HgN3O3", "method": "wB97M-V/def2-TZVPD", "e_tot_ev": -30771.23868, "total_charge": 1, "mol_weight_g_mol": 498.0, "de_lowest_kcal_mol": 53.9, "spin_multiplicity": 2, "homo_lumo_gap_ha": [0.1549, 0.2690], "species": ["C", "C", "H", "H", "C", "C", "H", "H", "C", "H", "H", "H", "C", "H", "H", "H", "Hg", "O", "C", "O", "C", "O", "N", "C", "C", "H", "H", "H", "H", "C", "C", "H", "H", "H", "N", "C", "C", "C", "N", "H", "H", "H", "H", "H", "H", "H", "H", "H", "H"], "positions_angstrom": [[-0.50, -2.44, -5.67], [-1.22, -1.52, -6.61], [-1.04, -3.38, -5.62], [0.47, -2.70, -6.11], [-1.45, -0.22, -6.29], [-0.95, 0.40, -5.03], [-1.77, 0.54, -4.33], [-0.58, 1.40, -5.25], [-1.66, -2.15, -7.88], [-1.28, -3.16, -7.97], [-1.36, -1.59, -8.76], [-2.75, -2.23, -7.91], [-2.22, 0.71, -7.17], [-3.18, 0.30, -7.48], [-1.66, 0.94, -8.08], [-2.40, 1.66, -6.67], [0.00, 0.00, 0.00], [-0.05, -0.46, -1.99], [0.46, 0.08, -2.98], [1.31, 1.45, -0.54], [1.73, 1.71, -1.66], [2.62, 2.66, -1.86], [1.37, 1.11, -2.87], [3.06, 2.67, -3.25], [2.02, 1.81, -3.99], [4.06, 2.24, -3.28], [3.08, 3.70, -3.58], [2.49, 1.12, -4.67], [1.30, 2.42, -4.52], [0.15, -0.42, -4.36], [-0.30, -1.89, -4.27], [1.05, -0.38, -4.98], [-1.24, -1.92, -3.71], [0.42, -2.50, -3.72], [0.83, -1.33, 1.26], [-0.39, -1.82, 1.88], [-1.07, -0.75, 2.79], [-1.22, 0.69, 2.21], [-1.70, 0.67, 0.83], [1.41, -0.89, 2.01], [1.37, -2.07, 0.77], [-1.09, -2.10, 1.06], [-0.19, -2.73, 2.48], [-2.07, -1.15, 3.05], [-0.49, -0.65, 3.73], [-1.90, 1.28, 2.86], [-0.23, 1.19, 2.20], [-1.96, 1.62, 0.48], [-2.52, 0.02, 0.77]], "lowdin_charge": [-0.164, -0.249, 0.120, 0.126, -0.243, -0.119, 0.135, 0.108, -0.051, 0.077, 0.082, 0.090, -0.053, 0.081, 0.090, 0.075, 1.284, -0.179, -0.441, -0.096, -0.523, 0.056, 0.075, -0.069, -0.065, 0.130, 0.130, 0.129, 0.125, -0.246, -0.144, 0.140, 0.122, 0.119, -0.122, -0.283, -0.161, -0.284, -0.121, 0.141, 0.143, 0.115, 0.133, 0.127, 0.128, 0.134, 0.114, 0.143, 0.139]}
____________
WOW! Think about that for a moment. Doesn’t it sound like she is speaking to us today rather than in the 1890s? One hundred plus years ago God inspired Catherine Booth with words we still need to hear today!
_These quantum chemistry results were left in the page by mistake_
Record 1
{"formula": "C5H10N", "method": "wB97M-V/def2-TZVPD", "species": ["C", "C", "C", "C", "C", "N", "H", "H", "H", "H", "H", "H", "H", "H", "H", "H"], "coordinates": [[0.20436, 1.50622, 0.02329], [-0.19285, -0.50189, -0.23185], [0.93301, 1.82267, 1.19582], [-1.65376, -0.59129, 0.15075], [0.88222, -2.52520, -1.31705], [0.31014, -1.56173, -0.69522], [-0.89990, 1.64298, -0.06370], [2.02651, 1.68097, 1.21773], [0.54253, 1.52665, 2.20383], [0.81019, 2.85820, 1.09706], [-2.21338, -0.39208, -0.77982], [-1.84118, 0.25644, 0.86201], [-1.80369, -1.60046, 0.58313], [0.70832, 1.70515, -0.85937], [0.84599, -2.42173, -2.44610], [1.34148, -3.40491, -0.94052]], "forces_ev_per_a": [[-2.350, -4.439, -1.079], [-0.316, 0.711, -0.052], [1.071, -0.842, 2.933], [0.651, 0.420, 0.459], [-1.592, 2.647, -1.921], [1.690, -0.133, -0.055], [1.225, 0.419, 0.400], [-0.546, -0.300, -0.501], [-0.014, 0.187, -1.100], [-0.001, 2.314, 0.536], [-0.125, -0.313, 0.450], [-0.255, -1.221, -0.437], [-0.574, 0.764, -0.284], [0.841, 0.441, -1.766], [-0.047, -0.339, 1.352], [0.342, -0.315, 1.064]], "nbo_charge": [-0.136, 0.361, -0.692, -0.691, 0.022, -0.312, 0.226, 0.257, 0.249, 0.272, 0.266, 0.238, 0.256, 0.216, 0.227, 0.241], "e_homo_ev": -14.471, "charge": 1, "energy_ev": -6826.846, "lumo_ha": -0.1782, "orbital_gap_ev": 9.6}

***

Record 2
{"formula": "C4H7FN2O", "method": "wB97M-V/def2-TZVPD", "species": ["C", "C", "N", "N", "O", "C", "C", "F", "H", "H", "H", "H", "H", "H", "H"], "coordinates": [[-1.25635, 1.65769, -0.28067], [-0.90806, 0.23541, 0.11062], [-1.70746, -0.67337, -0.20666], [-1.32929, -2.01273, -0.09928], [0.26173, 0.04720, 0.82382], [1.37173, -0.15098, 0.02354], [2.64096, 0.03842, 0.32282], [3.59087, -0.49460, -0.48624], [-2.04458, 1.77568, -1.04174], [-0.35767, 2.15193, -0.78474], [-1.49080, 2.34423, 0.60532], [-0.66680, -2.21726, 0.69301], [-2.24879, -2.50517, -0.04616], [1.12777, -0.59477, -0.97368], [3.01674, 0.39832, 1.34007]], "forces_ev_per_a": [[1.195, 1.921, 0.280], [-0.846, 1.634, -0.370], [0.387, -0.999, -0.471], [-0.829, -0.144, 1.031], [0.916, 0.082, -0.027], [-0.881, -0.858, -1.784], [0.458, -0.023, 2.429], [-0.251, 0.583, 0.127], [0.095, -0.628, 0.629], [-0.830, -0.727, 0.771], [0.272, -1.117, -1.056], [-1.132, 0.233, -0.892], [1.584, 0.129, 0.224], [0.278, 0.343, 0.871], [-0.416, -0.428, -1.761]], "nbo_charge": [-0.675, 0.468, -0.271, -0.661, -0.513, 0.033, 0.152, -0.331, 0.242, 0.221, 0.227, 0.357, 0.375, 0.196, 0.181], "e_homo_ev": -9.205, "energy_ev": -12003.966, "smiles": "C/C(=N/N)O/C=C/F", "lumo_ha": 0.0369, "orbital_gap_ev": 10.2}

***

Record 3
Early Salvationists recognized that they were involved in spiritual warfare and were ready to fight and die. As years progressed, we have lost some of that fire and dedication. Have we been blinded by the arch-enemy to the purposes of God and the power at our command? Are we living as spiritual paupers? Why are we so apathetic to the needs of our sick and rotting world? Overwhelmed by the needs of suffering humanity we do what we can do in our human strength. It is time to tap into the supernatural strength of God?
Prayer: God as we contemplate what you want to do through this Salvation Army of yours and more to the point through us, place your shield of protection around us and our loved ones so that the enemy cannot use people, property or possessions to distract us from seeking Your will. Open our eyes and help us to see the truth. Prepare us for the battle and help us to engage in the spiritual battle.